Activity
Please find "1.8" and "ibrav" in the rows below, and set down these two lines and those between.

Material
Here is a relaxed K2RbTaF6 crystal from the Materials Project. Energies are from GGA-PBE. Values from VASP.

Values from the calculation:
- density (g/cm3) = 3.5
- electronic total energy (eV per atom) = -5.246
- total moment (μB/f.u.) = 1.8

Structure (Quantum ESPRESSO input):
```
&SYSTEM
  ibrav = 0, nat = 10, ntyp = 4
/
ATOMIC_SPECIES
K 39.10 K.upf
Rb 85.47 Rb.upf
Ta 180.95 Ta.upf
F 19.00 F.upf
CELL_PARAMETERS angstrom
0.000 4.752 4.752
4.752 0.000 4.752
4.752 4.752 0.000
ATOMIC_POSITIONS crystal
K 0.250 0.250 0.250
K 0.750 0.750 0.750
Rb 0.000 0.000 0.000
Ta 0.500 0.500 0.500
F 0.282 0.282 0.718
F 0.282 0.718 0.282
F 0.282 0.718 0.718
F 0.718 0.282 0.282
F 0.718 0.282 0.718
F 0.718 0.718 0.282
```

Here it is
- total moment (μB/f.u.) = 1.8

Structure (Quantum ESPRESSO input):
```
&SYSTEM
  ibrav = 0, nat = 10, ntyp = 4